{"formula": "C59H50ClGeO4P2SV", "method": "ωB97M-V/def2-TZVPD", "species": ["V", "Cl", "C", "C", "C", "C", "C", "C", "P", "C", "C", "C", "C", "C", "C", "C", "C", "C", "C", "C", "C", "H", "H", "H", "H", "H", "H", "H", "H", "H", "H", "H", "H", "H", "H", "O", "C", "O", "C", "C", "C", "C", "C", "C", "S", "H", "H", "H", "H", "C", "P", "C", "C", "C", "C", "C", "C", "C", "C", "C", "C", "C", "C", "H", "H", "H", "H", "H", "H", "H", "H", "H", "H", "H", "H", "H", "O", "C", "O", "C", "C", "Ge", "C", "C", "C", "C", "C", "C", "C", "C", "C", "C", "C", "C", "C", "C", "C", "C", "C", "C", "H", "H", "H", "H", "H", "H", "H", "H", "H", "H", "H", "H", "H", "H", "H", "H", "H", "H", "H"], "positions_angstrom": [[-0.1024, 0.5168, -0.4159], [-1.7518, 1.3875, 1.1653], [-1.2468, 3.0173, 1.7675], [-2.1971, 3.9162, 2.3228], [-1.7717, 5.1108, 2.8279], [-0.4398, 5.5872, 2.6054], [0.5135, 4.7372, 2.0192], [0.1276, 3.3796, 1.7097], [1.3440, 2.0559, 1.2412], [2.7518, 3.0135, 0.6401], [3.1045, 2.9430, -0.7271], [4.1422, 3.7942, -1.1187], [4.8520, 4.6073, -0.2872], [4.5648, 4.5055, 1.0481], [3.6232, 3.6282, 1.5589], [2.0349, 1.2875, 2.7673], [3.2589, 0.5929, 2.7639], [3.6139, -0.2273, 3.8401], [2.7723, -0.3491, 4.9624], [1.6180, 0.4348, 4.9576], [1.2086, 1.2200, 3.8900], [-3.2529, 3.6380, 2.3183], [-2.5252, 5.8556, 3.1771], [-0.1434, 6.5762, 2.9084], [1.4241, 5.1780, 1.6399], [2.6445, 2.2343, -1.3976], [4.3418, 3.7078, -2.1804], [5.6300, 5.3000, -0.5706], [5.1344, 5.0284, 1.7949], [3.5585, 3.4955, 2.6215], [3.8836, 0.6458, 1.8767], [4.5010, -0.8712, 3.7396], [3.0692, -0.9474, 5.8898], [0.9079, 0.4626, 5.7808], [0.2999, 1.8312, 4.0413], [2.7786, 0.6455, -3.2814], [1.6730, 0.2493, -2.8189], [1.1555, 0.9506, -1.8418], [0.7738, -0.6803, -3.5111], [1.3261, -1.0880, -4.7351], [0.5804, -1.7184, -5.6551], [-0.7895, -1.8307, -5.4891], [-1.3746, -1.3550, -4.3314], [-0.6400, -0.6614, -3.3159], [-1.6173, 0.1428, -2.1635], [2.3699, -0.9099, -4.9083], [1.0836, -2.1871, -6.5142], [-1.4102, -2.2668, -6.2992], [-2.4110, -1.5379, -4.1021], [0.2653, 3.9397, -4.2432], [-1.0019, 3.8630, -2.9450], [-2.4064, 3.7022, -3.9803], [-3.6154, 3.2687, -3.5214], [-4.6658, 2.9600, -4.3960], [-4.6641, 3.4649, -5.6873], [-3.5084, 4.0467, -6.1649], [-2.4080, 4.1825, -5.3388], [-1.1016, 5.6204, -2.4152], [-2.0718, 6.5549, -2.8201], [-2.0135, 7.8336, -2.3476], [-1.0483, 8.2702, -1.4476], [-0.0205, 7.3826, -1.0553], [-0.1253, 6.0252, -1.4820], [0.2575, 4.9005, -4.7365], [0.1640, 3.1176, -4.9579], [1.2513, 3.8442, -3.7658], [-3.7779, 3.1394, -2.4697], [-5.5318, 2.4810, -3.9988], [-5.5353, 3.2381, -6.3218], [-3.4393, 4.3777, -7.2373], [-1.5000, 4.6646, -5.7236], [-2.8139, 6.3273, -3.5787], [-2.7692, 8.5450, -2.6565], [-1.1592, 9.2957, -1.0826], [0.7468, 7.7749, -0.3931], [0.6226, 5.3127, -1.1668], [0.3355, -1.1594, 0.5005], [1.5228, -1.6948, 0.2719], [2.5389, -1.0426, -0.1449], [1.6640, -3.1580, 0.7025], [0.5924, -4.1535, 0.1544], [-0.3599, -5.2587, 1.5453], [0.8945, -5.5811, 3.0597], [0.4716, -5.0951, 4.2953], [1.3639, -5.1531, 5.4029], [2.5432, -5.8221, 5.2688], [2.9611, -6.2698, 4.0315], [2.1475, -6.1746, 2.9224], [-1.7997, -4.1971, 2.1870], [-3.1562, -4.6094, 2.0417], [-4.1670, -3.7150, 2.2368], [-3.9037, -2.4807, 2.7944], [-2.5980, -2.0528, 3.0166], [-1.5411, -2.9279, 2.7281], [-0.7842, -6.9843, 0.8208], [-0.2897, -7.4510, -0.4066], [-0.5656, -8.7548, -0.8348], [-1.2443, -9.6075, -0.0030], [-1.7776, -9.1930, 1.1877], [-1.5185, -7.9255, 1.6436], [1.6617, -3.1735, 1.8208], [2.6645, -3.5021, 0.3692], [0.9074, -4.9008, -0.5221], [-0.2502, -3.5953, -0.3489], [-0.5228, -4.6784, 4.3637], [1.0326, -4.7734, 6.3639], [3.2311, -5.8492, 6.0991], [3.9681, -6.7025, 3.9314], [2.5044, -6.5397, 1.9904], [-3.3435, -5.6320, 1.7802], [-5.2145, -3.9818, 1.9869], [-4.6638, -1.7760, 2.9668], [-2.4652, -1.0075, 3.3514], [-0.4807, -2.6125, 2.8343], [0.2539, -6.7369, -1.0357], [-0.1293, -9.1130, -1.7772], [-1.3464, -10.6182, -0.3281], [-2.3808, -9.8518, 1.7764], [-1.8784, -7.6737, 2.6781]], "mulliken_spin": [2.00, 0.00, 0.00, 0.00, 0.00, 0.00, 0.00, 0.00, 0.05, -0.01, -0.01, 0.00, 0.00, 0.00, 0.00, 0.00, 0.00, 0.00, 0.00, 0.00, 0.00, 0.00, 0.00, 0.00, 0.00, 0.01, 0.00, 0.00, 0.00, 0.00, 0.00, 0.00, 0.00, 0.00, 0.00, 0.00, -0.01, -0.07, 0.02, 0.00, 0.00, 0.00, 0.00, 0.02, -0.08, 0.00, 0.00, 0.00, 0.00, 0.00, 0.02, 0.00, 0.00, 0.00, 0.00, 0.00, 0.00, 0.00, 0.00, 0.00, 0.00, 0.00, 0.00, 0.00, 0.00, 0.00, 0.00, 0.00, 0.00, 0.00, 0.00, 0.00, 0.00, 0.00, 0.00, 0.00, 0.03, 0.03, 0.00, 0.00, 0.00, 0.00, 0.00, 0.00, 0.00, 0.00, 0.00, 0.00, 0.00, 0.00, 0.00, 0.00, 0.00, 0.00, 0.00, 0.00, 0.00, 0.00, 0.00, 0.00, 0.00, 0.00, 0.00, 0.00, 0.00, 0.00, 0.00, 0.00, 0.00, 0.00, 0.00, 0.00, 0.00, 0.00, 0.00, 0.00, 0.00, 0.00, 0.00], "e_lumo_ev": [-0.706, -0.377], "s_squared": 2.02, "e_homo_ev": [-7.56, -7.62], "multiplicity": 3, "charge": 0}

The reader should retype the lines above character by character.

{"formula": "C59H50ClGeO4P2SV", "method": "ωB97M-V/def2-TZVPD", "species": ["V", "Cl", "C", "C", "C", "C", "C", "C", "P", "C", "C", "C", "C", "C", "C", "C", "C", "C", "C", "C", "C", "H", "H", "H", "H", "H", "H", "H", "H", "H", "H", "H", "H", "H", "H", "O", "C", "O", "C", "C", "C", "C", "C", "C", "S", "H", "H", "H", "H", "C", "P", "C", "C", "C", "C", "C", "C", "C", "C", "C", "C", "C", "C", "H", "H", "H", "H", "H", "H", "H", "H", "H", "H", "H", "H", "H", "O", "C", "O", "C", "C", "Ge", "C", "C", "C", "C", "C", "C", "C", "C", "C", "C", "C", "C", "C", "C", "C", "C", "C", "C", "H", "H", "H", "H", "H", "H", "H", "H", "H", "H", "H", "H", "H", "H", "H", "H", "H", "H", "H"], "positions_angstrom": [[-0.1024, 0.5168, -0.4159], [-1.7518, 1.3875, 1.1653], [-1.2468, 3.0173, 1.7675], [-2.1971, 3.9162, 2.3228], [-1.7717, 5.1108, 2.8279], [-0.4398, 5.5872, 2.6054], [0.5135, 4.7372, 2.0192], [0.1276, 3.3796, 1.7097], [1.3440, 2.0559, 1.2412], [2.7518, 3.0135, 0.6401], [3.1045, 2.9430, -0.7271], [4.1422, 3.7942, -1.1187], [4.8520, 4.6073, -0.2872], [4.5648, 4.5055, 1.0481], [3.6232, 3.6282, 1.5589], [2.0349, 1.2875, 2.7673], [3.2589, 0.5929, 2.7639], [3.6139, -0.2273, 3.8401], [2.7723, -0.3491, 4.9624], [1.6180, 0.4348, 4.9576], [1.2086, 1.2200, 3.8900], [-3.2529, 3.6380, 2.3183], [-2.5252, 5.8556, 3.1771], [-0.1434, 6.5762, 2.9084], [1.4241, 5.1780, 1.6399], [2.6445, 2.2343, -1.3976], [4.3418, 3.7078, -2.1804], [5.6300, 5.3000, -0.5706], [5.1344, 5.0284, 1.7949], [3.5585, 3.4955, 2.6215], [3.8836, 0.6458, 1.8767], [4.5010, -0.8712, 3.7396], [3.0692, -0.9474, 5.8898], [0.9079, 0.4626, 5.7808], [0.2999, 1.8312, 4.0413], [2.7786, 0.6455, -3.2814], [1.6730, 0.2493, -2.8189], [1.1555, 0.9506, -1.8418], [0.7738, -0.6803, -3.5111], [1.3261, -1.0880, -4.7351], [0.5804, -1.7184, -5.6551], [-0.7895, -1.8307, -5.4891], [-1.3746, -1.3550, -4.3314], [-0.6400, -0.6614, -3.3159], [-1.6173, 0.1428, -2.1635], [2.3699, -0.9099, -4.9083], [1.0836, -2.1871, -6.5142], [-1.4102, -2.2668, -6.2992], [-2.4110, -1.5379, -4.1021], [0.2653, 3.9397, -4.2432], [-1.0019, 3.8630, -2.9450], [-2.4064, 3.7022, -3.9803], [-3.6154, 3.2687, -3.5214], [-4.6658, 2.9600, -4.3960], [-4.6641, 3.4649, -5.6873], [-3.5084, 4.0467, -6.1649], [-2.4080, 4.1825, -5.3388], [-1.1016, 5.6204, -2.4152], [-2.0718, 6.5549, -2.8201], [-2.0135, 7.8336, -2.3476], [-1.0483, 8.2702, -1.4476], [-0.0205, 7.3826, -1.0553], [-0.1253, 6.0252, -1.4820], [0.2575, 4.9005, -4.7365], [0.1640, 3.1176, -4.9579], [1.2513, 3.8442, -3.7658], [-3.7779, 3.1394, -2.4697], [-5.5318, 2.4810, -3.9988], [-5.5353, 3.2381, -6.3218], [-3.4393, 4.3777, -7.2373], [-1.5000, 4.6646, -5.7236], [-2.8139, 6.3273, -3.5787], [-2.7692, 8.5450, -2.6565], [-1.1592, 9.2957, -1.0826], [0.7468, 7.7749, -0.3931], [0.6226, 5.3127, -1.1668], [0.3355, -1.1594, 0.5005], [1.5228, -1.6948, 0.2719], [2.5389, -1.0426, -0.1449], [1.6640, -3.1580, 0.7025], [0.5924, -4.1535, 0.1544], [-0.3599, -5.2587, 1.5453], [0.8945, -5.5811, 3.0597], [0.4716, -5.0951, 4.2953], [1.3639, -5.1531, 5.4029], [2.5432, -5.8221, 5.2688], [2.9611, -6.2698, 4.0315], [2.1475, -6.1746, 2.9224], [-1.7997, -4.1971, 2.1870], [-3.1562, -4.6094, 2.0417], [-4.1670, -3.7150, 2.2368], [-3.9037, -2.4807, 2.7944], [-2.5980, -2.0528, 3.0166], [-1.5411, -2.9279, 2.7281], [-0.7842, -6.9843, 0.8208], [-0.2897, -7.4510, -0.4066], [-0.5656, -8.7548, -0.8348], [-1.2443, -9.6075, -0.0030], [-1.7776, -9.1930, 1.1877], [-1.5185, -7.9255, 1.6436], [1.6617, -3.1735, 1.8208], [2.6645, -3.5021, 0.3692], [0.9074, -4.9008, -0.5221], [-0.2502, -3.5953, -0.3489], [-0.5228, -4.6784, 4.3637], [1.0326, -4.7734, 6.3639], [3.2311, -5.8492, 6.0991], [3.9681, -6.7025, 3.9314], [2.5044, -6.5397, 1.9904], [-3.3435, -5.6320, 1.7802], [-5.2145, -3.9818, 1.9869], [-4.6638, -1.7760, 2.9668], [-2.4652, -1.0075, 3.3514], [-0.4807, -2.6125, 2.8343], [0.2539, -6.7369, -1.0357], [-0.1293, -9.1130, -1.7772], [-1.3464, -10.6182, -0.3281], [-2.3808, -9.8518, 1.7764], [-1.8784, -7.6737, 2.6781]], "mulliken_spin": [2.00, 0.00, 0.00, 0.00, 0.00, 0.00, 0.00, 0.00, 0.05, -0.01, -0.01, 0.00, 0.00, 0.00, 0.00, 0.00, 0.00, 0.00, 0.00, 0.00, 0.00, 0.00, 0.00, 0.00, 0.00, 0.01, 0.00, 0.00, 0.00, 0.00, 0.00, 0.00, 0.00, 0.00, 0.00, 0.00, -0.01, -0.07, 0.02, 0.00, 0.00, 0.00, 0.00, 0.02, -0.08, 0.00, 0.00, 0.00, 0.00, 0.00, 0.02, 0.00, 0.00, 0.00, 0.00, 0.00, 0.00, 0.00, 0.00, 0.00, 0.00, 0.00, 0.00, 0.00, 0.00, 0.00, 0.00, 0.00, 0.00, 0.00, 0.00, 0.00, 0.00, 0.00, 0.00, 0.00, 0.03, 0.03, 0.00, 0.00, 0.00, 0.00, 0.00, 0.00, 0.00, 0.00, 0.00, 0.00, 0.00, 0.00, 0.00, 0.00, 0.00, 0.00, 0.00, 0.00, 0.00, 0.00, 0.00, 0.00, 0.00, 0.00, 0.00, 0.00, 0.00, 0.00, 0.00, 0.00, 0.00, 0.00, 0.00, 0.00, 0.00, 0.00, 0.00, 0.00, 0.00, 0.00, 0.00], "e_lumo_ev": [-0.706, -0.377], "s_squared": 2.02, "e_homo_ev": [-7.56, -7.62], "multiplicity": 3, "charge": 0}